Wednesday, December 15, 2021

Windy Wednesday

Yesterday just after sunset Lance and I walked in the neighborhood. The temperature was a balmy 53 degrees and seeing lights from the sidewalk was fun. I understand the appeal of a walking tour in a city or countryside. Today the forecast is for very high winds culminating in an afternoon thunderstorm. The wind forecast is such that the schools closed today. When I stepped out to pick up the newspaper, the sun was shining, the air was warm, and a little humid. This is very odd weather for December in Nebraska. Every now and again we have thunder-snow and I wonder if that won't happen today. 

As usual this Wednesday, I link with Kat and the Unravelers. I completed the garter stitch body and knit sixteen lace rows of the red Wool Peddlers Shawl. Alas, the lace rows need to be unraveled and reknit. The pattern was published in Folk Shawls in 2000. I think it came before the time of so many shawl patterns on Ravelry. The lace chart is oddly written, leaving off the edge stitches and maybe part of the center increase although none of that is clear from the written instructions. According to Ravelry notes, some knitters thought it easier to follow the written directions so that is what I did. The trouble with that is it makes me a blind follower. I'd rather work from a chart/visual design. I plan to lay the shawl on a table and rip back. I also need to compare the chart and written directions. All this is best done during daylight hours. In addition, I changed the method for the center increase and added an extra stitch to each side edge. Ten years ago I knit this pattern with the same modifications so surely I can do it again. It's all knitting. Right?

In the meantime, I knit another section on the Anker's Cardigan. Although the yoke is ribbing on small needles, it is pleasant knitting. After finishing the yoke, I will put it on waste yarn and check the fit. Then it is on to the stockinette knitting with more audiobook listening. 

I am reading The Paper Palace and wonder about the hype it has received. Maybe the novel is more of a summer read. Since it is a book group selection I plan to finish. Moments of Being is a good way to learn about Virginia Woolf's time and place. The piece, "A Sketch of the Past," is a window into her early years, including her parents' personalities. Now and then she writes a sentence or two about her writing.  Jonah and I read Red and Lulu, a story of a pair of cardinals and an evergreen chosen as the Christmas tree for Rockefeller Center. Since he has been to Rockefeller Center, it is a fun story for him. When we came to the illustration of the long truck hauling the tree, he remarked, "oh dear, they are on I-95." 

The clouds are blowing across sky and the wind is rising on this warm December day. If you are in the vicinity, put rocks in your pockets and hang onto your hat. 

Ravelry Links

Anker's Cardigan

Red Wool Peddler's Shawl

Handmade German Stars.


  1. I love your shawls. You are so talented with your handiwork. I haven't read that book, but will put it on my questionable list since you didn't really like it. Glad to see your week is going well.

  2. Your Wool Peddlers Shawl is such a lovely color, and I hope you can get the lace figured out easily. You are right to wait until there is good daylight, and hopefully, a good supply of patience. But I know you are up to the task! I love Jonah's comment. That's exactly how I feel when we are driving back and forth to MD. Oh, dear!

  3. I thought of you yesterday while I was reading about the strong winds in the middle of the country. I hope you are safe and comfortable. (The winds are here now, but we're only on the edge of the "action.") I wish you the best with your shawl! I'm sure it will be worth the extra effort once you get it all sorted. And I am smiling about Jonah and I-95 . . . XO

  4. I just laughed out loud at Jonah's comment!

    I hope you can fix the lace without too much trouble. I don't work well with written directions because I'm a very visual person, so I often end up charting them if they're not available. I do have fancy charting software for designing, but plain-old graph paper works just fine, too.

  5. oh my "I-95" ... I laughed out loud! I have that lovely book under my tree - Katie spent her first Christmas away from home working in Rockefeller Center and that tree has always been special for us.

  6. I am reading 'this is happiness' and it's not the book for me but many many people loved it so. Oh well. Love the knitting!! we had a warm day yesterday but it was so windy that you could not really enjoy it much - it kicked up all the allergens!

+++
No. 1
The following is a GGA-PBE calculation of an optimized crystal structure of HfCrTeN2, from the Alexandria database.

**Excess energy over the best structure of this formula in the dataset**: 169 meV per atom
**Formation energy without anion corrections**: 0.5776 eV per atom
**Size of the total moment**: 0.27 μB/f.u.

Cell: 3.875 3.875 5.154 Å, 90.00 90.00 90.00°
Sites, in units of the cell vectors:
1 Hf 0.000 0.000 0.000
2 Cr 0.500 0.500 0.500
3 Te 0.500 0.500 0.000
4 N 0.000 0.500 0.500
5 N 0.500 0.000 0.500

=====

No. 2
The following is a GGA-PBE calculation of an optimized crystal structure of HfCrTeN2, from the Alexandria database.

**Excess energy over the best structure of this formula in the dataset**: 0 meV per atom
**Formation energy without anion corrections**: 0.4082 eV per atom
**Size of the total moment**: 3.19 μB/f.u.

Cell: 4.113 4.113 5.994 Å, 90.00 90.00 90.00°
Sites, in units of the cell vectors:
1 Hf 0.000 0.000 0.000
2 Cr 0.500 0.500 0.500
3 Te 0.000 0.000 0.500
4 N 0.000 0.500 0.000
5 N 0.500 0.000 0.000

=====

No. 3
The following is a GGA-PBE calculation of an optimized crystal structure of HfTh2Cr2N6, from the Alexandria database.

**Formation energy without anion corrections**: -0.9169 eV per atom
**Size of the total moment**: 0.04 μB/f.u.

Cell: 6.599 6.599 6.599 Å, 48.82 48.82 48.82°
Sites, in units of the cell vectors:
1 Hf 0.000 0.000 0.000
2 Th 0.212 0.212 0.212
3 Th 0.788 0.788 0.788
4 Cr 0.394 0.394 0.394
5 Cr 0.606 0.606 0.606
6 N 0.227 0.744 0.744
7 N 0.256 0.256 0.773
8 N 0.256 0.773 0.256
9 N 0.744 0.227 0.744
10 N 0.744 0.744 0.227
11 N 0.773 0.256 0.256

=====

No. 4
The following is a GGA-PBE calculation of an optimized crystal structure of YHfCr2N, from the Alexandria database.

**Formation energy without anion corrections**: 0.0228 eV per atom
**Size of the total moment**: 0.00 μB/f.u.

Cell: 4.001 4.001 4.693 Å, 90.00 90.00 90.00°
Sites, in units of the cell vectors:
1 Y 0.000 0.000 0.000
2 Hf 0.500 0.500 0.000
3 Cr 0.000 0.500 0.500
4 Cr 0.500 0.000 0.500
5 N 0.000 0.000 0.500

=====

No. 5
The following is a GGA-PBE calculation of an optimized crystal structure of Hf2ZnCrN, from the Alexandria database.

**Formation energy without anion corrections**: -0.6581 eV per atom
**Size of the total moment**: 0.00 μB/f.u.

Cell: 4.487 4.487 3.700 Å, 90.00 90.00 90.00°
Sites, in units of the cell vectors:
1 Hf 0.000 0.500 0.000
2 Hf 0.500 0.000 0.000
3 Zn 0.000 0.000 0.500
4 Cr 0.500 0.500 0.500
5 N 0.500 0.500 0.000

=====

No. 6
The following is a GGA-PBE calculation of an optimized crystal structure of NaHfCr2, from the Alexandria database.

**ΔH_f (0 K)**: 87 kJ per mole of atoms
**Excess energy over the best structure of this formula in the dataset**: 0 meV per atom
**Size of the total moment**: 6.81 μB/f.u.

Cell: 4.720 4.720 4.720 Å, 60.00 60.00 60.00°
Sites, in units of the cell vectors:
1 Na 0.000 0.000 0.000
2 Hf 0.500 0.500 0.500
3 Cr 0.250 0.250 0.250
4 Cr 0.750 0.750 0.750
+++

  7. I hope to have Lincoln Highway (not quite I-95) finished today! I am enjoying it thoroughly! And I can manage some knitting! But first... I have a long list of cleaning to do today! Sigh!!
